_Activity_
Next, start at the top of the contents further below and set down each line, ending with the one that has "Entry 2:".
_File_
~~~
Entry 1:
Calculated powder diffractogram
Compound: ZnHgSO
Radiation: Cu Kα, 1.54184 Å
Structure: a crystal structure in OQMD, relaxed with GGA-PBE
Peak positions follow from Bragg's law for the DFT cell and can differ from measured ones.

The 12 most intense peaks (2θ = 5–70°), sorted by position:
2θ/deg, I_rel
23.93, 76
26.39, 27
28.86, 42
30.77, 100
31.39, 60
32.95, 32
33.35, 48
43.16, 25
44.67, 32
46.45, 27
49.66, 21
55.61, 21

```
data_ZnHgSO
_cell_length_a 6.186
_cell_length_b 8.061
_cell_length_c 5.699
_cell_angle_alpha 90.00
_cell_angle_beta 90.00
_cell_angle_gamma 90.00
_symmetry_space_group_name_H-M 'P 1'
_symmetry_Int_Tables_number 1
loop_
_symmetry_equiv_pos_as_xyz
'x,y,z'
loop_
_atom_site_label
_atom_site_fract_x
_atom_site_fract_y
_atom_site_fract_z
Zn1 0.112 0.078 0.000
Zn2 0.388 0.078 0.500
Zn3 0.612 0.922 0.000
Zn4 0.888 0.922 0.500
Hg1 0.048 0.657 0.077
Hg2 0.452 0.657 0.577
Hg3 0.548 0.343 0.077
Hg4 0.952 0.343 0.577
S1 0.030 0.658 0.614
S2 0.470 0.658 0.114
S3 0.530 0.342 0.614
S4 0.970 0.342 0.114
O1 0.097 0.078 0.649
O2 0.403 0.078 0.149
O3 0.597 0.922 0.649
O4 0.903 0.922 0.149
```

=====

Entry 2:
Calculated powder diffractogram
Compound: SnPd10
Radiation: Cu Kα, 1.54184 Å
Structure: a crystal structure in OQMD, relaxed with GGA-PBE
Peak positions follow from Bragg's law for the DFT cell and can differ from measured ones.

The 12 most intense peaks (2θ = 5–70°), sorted by position:
2θ/deg, I_rel
5.89, 100
36.97, 10
39.31, 57
39.68, 49
40.48, 24
41.76, 10
44.31, 19
46.46, 18
46.97, 15
47.16, 8
66.15, 10
68.20, 10

```
data_SnPd10
_cell_length_a 4.771
_cell_length_b 4.771
_cell_length_c 29.992
_cell_angle_alpha 90.36
_cell_angle_beta 90.36
_cell_angle_gamma 48.37
_symmetry_space_group_name_H-M 'P 1'
_symmetry_Int_Tables_number 1
loop_
_symmetry_equiv_pos_as_xyz
'x,y,z'
loop_
_atom_site_label
_atom_site_fract_x
_atom_site_fract_y
_atom_site_fract_z
Sn1 0.156 0.156 0.188
Sn2 0.844 0.844 0.812
Pd1 0.049 0.049 0.395
Pd2 0.049 0.049 0.695
Pd3 0.145 0.145 0.788
Pd4 0.150 0.150 0.485
Pd5 0.251 0.251 0.575
Pd6 0.256 0.256 0.276
Pd7 0.349 0.349 0.665
Pd8 0.350 0.350 0.366
Pd9 0.446 0.446 0.756
Pd10 0.450 0.450 0.455
Pd11 0.550 0.550 0.545
Pd12 0.554 0.554 0.244
Pd13 0.650 0.650 0.634
Pd14 0.651 0.651 0.335
Pd15 0.744 0.744 0.724
Pd16 0.749 0.749 0.425
Pd17 0.850 0.850 0.515
Pd18 0.855 0.855 0.212
Pd19 0.951 0.951 0.305
Pd20 0.951 0.951 0.605
```
~~~
_Reply_
Entry 1:
Calculated powder diffractogram
Compound: ZnHgSO
Radiation: Cu Kα, 1.54184 Å
Structure: a crystal structure in OQMD, relaxed with GGA-PBE
Peak positions follow from Bragg's law for the DFT cell and can differ from measured ones.

The 12 most intense peaks (2θ = 5–70°), sorted by position:
2θ/deg, I_rel
23.93, 76
26.39, 27
28.86, 42
30.77, 100
31.39, 60
32.95, 32
33.35, 48
43.16, 25
44.67, 32
46.45, 27
49.66, 21
55.61, 21

```
data_ZnHgSO
_cell_length_a 6.186
_cell_length_b 8.061
_cell_length_c 5.699
_cell_angle_alpha 90.00
_cell_angle_beta 90.00
_cell_angle_gamma 90.00
_symmetry_space_group_name_H-M 'P 1'
_symmetry_Int_Tables_number 1
loop_
_symmetry_equiv_pos_as_xyz
'x,y,z'
loop_
_atom_site_label
_atom_site_fract_x
_atom_site_fract_y
_atom_site_fract_z
Zn1 0.112 0.078 0.000
Zn2 0.388 0.078 0.500
Zn3 0.612 0.922 0.000
Zn4 0.888 0.922 0.500
Hg1 0.048 0.657 0.077
Hg2 0.452 0.657 0.577
Hg3 0.548 0.343 0.077
Hg4 0.952 0.343 0.577
S1 0.030 0.658 0.614
S2 0.470 0.658 0.114
S3 0.530 0.342 0.614
S4 0.970 0.342 0.114
O1 0.097 0.078 0.649
O2 0.403 0.078 0.149
O3 0.597 0.922 0.649
O4 0.903 0.922 0.149
```

=====

Entry 2: